Sunrise III: Hang Test in Göttingen
First Light for the scientific instruments of Sunrise III: The balloon-borne solar observatory prepares for its next research flight.
The solar observatory Sunrise III, which will observe the Sun from a helium balloon at an altitude of 35 kilometers, has reached an important milestone: today scientists and engineers at the Max Planck Institute for Solar System Research (MPS) in Germany performed measurements with sunlight for the first time. For the so-called hang test, the huge gate of the MPS balloon hall opened to allow the observatory to look directly into the Sun. The test is an important part of the current preparations for the multi-day stratospheric flight of Sunrise III in early summer next year. During this flight, the observatory will collect unprecedented observational data from the Sun's lower atmosphere, the chromosphere.

At around 10.45 a.m., the nine-meter-high door to the balloon hall of the MPS at Justus-von-Liebig-Weg in Göttingen opened. With the help of the hall crane, the Sunrise III staff had alreadytransported the seven-meter-high gondola, which in its flight configuration contains a solar telescope, scientific instruments, a system for image stabilization, and the on-board electronics, inside the hall to just before the huge opening. The Sun is shining; everything is ready to go.
Approximately seven months before the planned launch of the Sunrise III mission, preparations at MPS are in full swing. Many of the subsystems are operational: the telescope, which with its 1-meter primary mirror is the heart of Sunrise III; the SUSI (Sunrise UV Spectropolarimeter and Imager) and SCIP (Sunrise Chromospheric Infrared Spectro-Polarimeter) instruments, developed and built by MPS, a Japanese consortium led by the National Astronomical Observatory of Japan, and the Spanish Space Solar Physics Consortium (S3PC) led by the Instituto de Astrofísica de Andalucía; the image stabilization system from the Leibniz Institute for Solar Physics in Freiburg (Germany); and the on-board electronics. Others like the instrument TuMaG (Tunable Magnetograph) which is being developed and built by S3PC led by the Instituto de Astrofísica de Andalucía are nearing completion.The seven-meter-high gondola was delivered in recent weeks from the Applied Physics Laboratory of Johns Hopkins University (USA), assembled on site in Göttingen and "married" to the telescope and instruments.

"With the current tests, we are checking whether all of Sunrise III's systems are working smoothly together, and can make further improvements and refinements if necessary," explains MPS scientist Dr. Andreas Lagg, Sunrise III project manager. "In this way, we can already now optimize the processes for the observations during the flight," he adds. While space probes typically use the long journey through space to their destination to commission science instruments, Sunrise III must operate on a much tighter schedule. "The flight lasts only a few days. After launch, we therefore want to start scientific observations as soon as possible," said Dr. Achim Gandorfer, Sunrise III project scientist.
Sunlight for SUSI and SCIP
In the balloon hall, the Sunrise III team now begins with the first part of the hang test, the so called pointing: the observatory is to align itself automatically with the Sun - as required during the flight. This process is monitored and controlled from 6000 kilometers away by engineers from Johns Hopkins University in the USA. "Because of the Corona pandemic, many of our international partners were unable to be here on site and lend a hand themselves during the installation of their hardware contributions," says Dr. Achim Gandorfer, describing the work of the past weeks and months. "Instead, we had to rely on their advice and expertise via video conference. We are now taking a similar approach to the hang test," he adds.

____________
No. 1
18
Properties=species:S:1:pos:R:3:forces:R:3:mulliken_charge:R:1 method="wB97M-V/def2-TZVPD" homo_energy_ev=-14.03 charge=+1 e_lumo_ha=-0.1339 smiles="C=C(Cl)[C@@H]([NH3+])CC" orbital_gap_ha=0.3818
C 1.6319 -1.7901 0.8412 -1.172 -1.121 -1.211 -0.68
C 1.5465 -0.5852 0.3037 -1.066 2.644 0.631 0.29
Cl 2.9513 0.3398 -0.2862 -0.577 -0.768 0.188 -0.23
C 0.1595 0.3798 0.3759 2.429 -2.014 -1.437 0.07
N 0.5677 1.8665 0.4548 -2.353 0.978 2.810 -0.33
C -0.7833 0.0573 -0.8260 -0.267 -0.002 -1.540 -0.61
C -2.2047 -0.5750 -0.6720 1.821 -0.238 0.887 -1.31
H 2.5001 -2.4369 0.7159 0.079 0.512 0.259 0.32
H 0.7012 -2.3737 1.0745 0.851 0.983 0.223 0.25
H -0.2116 0.0889 1.2972 -1.113 -0.169 1.820 0.42
H 1.4955 1.9880 0.2035 2.681 -0.071 -1.947 0.24
H 0.6826 2.4157 1.4070 -1.187 -1.998 -1.495 0.40
H -0.0671 2.4458 -0.1083 0.364 -0.183 -0.054 0.36
H -0.3030 -0.6741 -1.5012 0.498 0.872 0.246 0.32
H -0.9186 1.0220 -1.3562 0.140 -0.591 -0.221 0.38
H -2.8329 0.1645 -0.3329 -1.619 1.436 1.757 0.38
H -2.1606 -1.4611 -0.0549 -0.178 -0.011 0.519 0.33
H -2.7544 -0.8723 -1.5358 0.669 -0.260 -1.435 0.40



No. 2
80
Properties=species:S:1:pos:R:3:forces:R:3:mulliken_charge:R:1 method="wB97M-V/def2-TZVPD" homo_energy_ev=-10.01 e_lumo_ha=-0.0015 smiles=BrCCBr.BrCCBr.BrCCBr.BrCCBr.BrCCBr.BrCCBr.BrCCBr.BrCCBr.BrCCBr.BrCCBr orbital_gap_ha=0.3663
Br 33.7087 20.8465 -38.4365 -0.200 0.337 -0.404 -0.14
C 32.5080 22.2374 -37.8784 -1.651 0.715 2.273 -0.46
C 31.2165 21.6357 -37.3040 -0.088 -0.416 -0.590 -0.71
Br 30.1830 22.9081 -36.1782 0.642 -0.436 -0.502 -0.15
H 32.1414 23.0160 -38.5473 1.018 -0.266 -0.681 0.38
H 32.9136 22.7062 -36.9818 0.760 0.202 -0.484 0.32
H 31.4554 20.7596 -36.7011 -0.360 0.173 0.039 0.42
H 30.5550 21.4008 -38.1380 -0.127 -0.298 0.357 0.34
Br 22.9764 28.5702 -42.5133 -0.342 0.226 1.168 -0.13
C 21.9240 29.3646 -40.9647 0.193 0.481 -1.682 -0.66
C 20.9515 28.4012 -40.3880 0.622 -1.171 0.584 -0.52
Br 22.0535 27.2471 -39.2046 -0.472 -0.104 0.021 -0.13
H 21.4433 30.1516 -41.5457 -0.143 0.149 0.504 0.34
H 22.5954 29.7561 -40.2004 0.091 -0.013 -0.425 0.42
H 20.5109 27.7027 -41.0994 -0.051 0.354 0.027 0.36
H 20.2022 28.8555 -39.7398 0.127 0.088 -0.165 0.33
Br 25.3262 25.4348 -32.5232 -0.184 0.977 -0.875 -0.15
C 25.0296 26.5608 -34.1515 -1.177 -1.273 -0.289 -0.64
C 26.0824 27.5113 -34.5140 0.698 1.069 1.310 -0.56
Br 25.9790 29.0948 -33.3040 0.096 -0.262 -0.298 -0.15
H 24.0716 27.0807 -34.1509 -0.071 -0.247 0.735 0.42
H 24.9352 25.8342 -34.9586 0.180 -0.232 0.105 0.36
H 25.8744 27.9178 -35.5037 0.495 -0.193 0.029 0.37
H 27.0727 27.1122 -34.2950 -0.013 0.170 -0.719 0.35
Br 21.6519 24.4647 -25.8611 1.527 -0.095 -0.210 -0.18
C 23.6539 24.3906 -26.1861 0.180 -0.171 0.485 -0.64
C 24.3321 25.6435 -25.5673 -1.102 -0.393 -1.030 -0.59
Br 26.3070 25.4727 -25.7660 -1.257 0.242 0.264 -0.17
H 23.8166 24.1934 -27.2457 -0.300 1.009 -0.165 0.39
H 24.0804 23.4658 -25.7976 -0.522 0.085 0.832 0.39
H 23.9733 25.8545 -24.5599 0.763 -0.723 0.343 0.41
____________

Around 11.05 a.m., the continent-spanning task is successfully completed; Sunrise III is peering perfectly into the Sun. For the first time, the Sunrise III team now opens the cover that has protected the 1-meter main mirror inside the telescope until now. Sunlight falls onto the sensitive mirror and is transmitted from there to the scientific instruments mounted above. Now the commissioning and calibration of the instruments can begin. "No artificial light source can replace sunlight for these measurements," says Dr. Andreas Lagg.
The scientific and technical team has until spring of next year to complete the commissioning. When the snow masses beyond the Arctic Circle slowly melt, Sunrise III will travel by truck, disassembled into individual parts and securely packed in crates, to the launch site, Esrange Space Center, in Kiruna (Sweden).
On June 1st, the solar observatory will be ready for launch. As soon as the wind and weather conditions in Kiruna are favorable, the balloon filled with 850 kilograms of helium will lift the six-ton observatory to an altitude of 35 kilometers. From there, the wind will carry Sunrise III westward. After several days of flight, it will land by parachute in northern Canada.

Midnight Sun and UV radiation
"Because we are flying in summertime and beyond the Arctic Circle, Sunrise III will be able to look non-stop at the Sun during the entire flight," says Sunrise III Principal Investigator Prof. Dr. Sami K. Solanki of MPS, describing one of the mission's advantages. At an altitude of 35 kilometers, the observatory has left most of Earth's atmosphere behind; air turbulences barely obstruct the view. "Unlike ground based telescopes, Sunrise III has access to ultraviolet radiation from the Sun at this altitude," Solanki continues. This portion of the Sun's radiation originates primarily in its hot atmosphere and contains valuable information from this region. Because the ozone layer of Earth's atmosphere largely absorbs the Sun’s ultraviolet light, it is not available to ground based telescopes.
Sunrise III's instruments are specialized to process light from different wavelength ranges. In this way, Sunrise III simultaneously looks at a region more than 2000 kilometers high, extending from just below the visible surface of the Sun into the upper chromosphere. Better than any other observatory - whether in space or on Earth - Sunrise III's observational data from this region can be assigned to an exact altitude. This makes it possible to precisely track, for example, how small bursts of radiation, known as microflares, occur or how wave-like phenomena propagate in the solar atmosphere.

"Sunrise III can make an important contribution to understanding how the Sun manages to heat its outer envelope to unfathomable temperatures of more than one million degrees Celsius," Solanki says. "To answer this question, it takes a very special view of the Sun."
About the mission
The balloon-borne solar observatory Sunrise III is a mission of the Max Planck Institute for Solar System Research (MPS, Germany). Sunrise III looks at the Sun from the stratosphere using a 1-meter telescope, three scientific instruments, and an image stabilization system. Significant contributors to the mission are a Spanish consortium led by the Instituto de Astrofísica de Andalucía (IAA, Spain), the National Astronomical Observatory of Japan (NAOJ, Japan), the Johns Hopkins Applied Physics Laboratory (APL, USA) and the Leibniz Institute for Solar Physics (KIS, Germany). Other partners include NASA's Columbia Scientific Ballooning Facility (CSBF) and the Swedish Space Corporation (SSC). Sunrise III is supported by funding from the Max Planck Foundation.